The Felix Experimental Group (FEG) is a circle for physical mediumship organized initially in 2005 by Kai Mügge from Hanau, Germany. Kai has since become the group’s medium. Both the magnitude and diversity of phenomena have increased dramatically from the early days of the FEG, and Kai has established a considerable reputation worldwide. Although evidence of at least occasional fraud began to surface in 2011, some continue to maintain that not all of Kai’s phenomena can be dismissed as fraudulent.
History and Development of the FEG
Kai claims to have a background in marketing and sales, and he has also worked as a documentary filmmaker, producing three films about heroin use in Frankfurt. In a 2015 interview Kai claims that his introduction to the paranormal traces back to the age of three or four, when he had some visionary and out-of-body experiences.1 Kai also claims to have seen spirits of both the living and the dead from that period on. However, that entire account is doubtful. Kai remarked to investigators Michael Nahm and Stephen Braude, on different occasions, that he was surprised to find that he had psychic abilities. The FEG began without any group member functioning as a medium. Kai’s apparent mediumistic abilities surfaced only later, when he started holding cabinet séances (and, his detractors would say, at the point when he began to realize that a mediumistic evolution of a table séance group could be profitable). And his assertions about his early spiritistic experiences surfaced only around the time Julia, a committed Spiritualist who later became his wife, entered the picture.
A more consistent and persistent story is that after witnessing some large-scale poltergeist events in the home of a friend when he was eleven years old, Kai became interested in physical mediumship. He then formed the first of several sitter groups when he was fifteen. The dominant (and perhaps the only) phenomena occurring during those sessions were table movements. During this time, Kai also developed both an interest and expertise in hypnosis.
Kai’s séances almost invariably occur (or at least begin) in darkness. After several years of conducting only table séances, Kai added cabinet séances to the FEG agenda, during which he was ostensibly overtaken by the spirit of the late parapsychologist Hans Bender. In these séances, modelled intentionally after those of the famous late nineteenth and early twentieth-century physical mediums, Kai would enclose himself in a curtained ‘cabinet’, and then after ‘Hans’ had taken control, raps, object movements, and touching of sitters would occur, apparently outside Kai’s reach, and apports of various kinds would be produced.
Beginning around 2010, ectoplasmic phenomena were added to Kai’s repertoire and became one of the most regular occurrences.2 At first, these were limited to hand-like protrusions issuing from Kai’s mouth or appearing on his shoulder. But later they evolved into large quantities of material which Kai would pull from his mouth and which would then rest on the floor, seem to move or ‘breathe’ in and out, and from which would sprout arm-like’ stalks with little hands on top, which would turn back and forth. These phenomena later became even more complex, with the masses of material containing images of faces, and sometimes seeming to develop into rudimentary forms of human figures. And along with the development of the ectoplasmic phenomena, Kai began to display more elaborate apport phenomena, including the appearance of various crystals or gems, emerging from his eyes or mouth.3
Documentation and Control of the Phenomena
As word spread about the FEG, Kai attracted the interest of various veteran psi researchers, and Kai soon recognized the value (if not necessity) of allowing investigators to control him during production of the phenomena. Kai consistently claims that the phenomena hide from the light, and he resists the use of infrared recording (apparently not appreciating that the incandescent red light he occasionally permits during séances actually generates more IR energy than the IR lamps used for infrared video). Nevertheless, Stephen Braude managed to record one table levitation in infrared, which is unfortunately partially obscured by Kai’s back.4
During table séances, Kai has allowed adjacent sitters to control his hands and legs, and during cabinet séances Kai has permitted investigators to control all four of his limbs while phenomena occurred well outside his reach. Sometime that four-limb control allowed for holding the hand of Kai’s wife, who usually sits next to him during those séances. Kai has permitted strip searches (and inspection of his clothing and shoes) prior to cabinet séances in which ectoplasm is produced. He has not yet submitted to full cavity searches, or other controls (e.g., wearing sealed boxing gloves or one-piece suits) that would help rule out the suggestion that he hid fake ectoplasm in his rectum.
There are two main reasons for taking that last hypothesis seriously. The first is that drug mules often use the rectum as hiding place, and this is something Kai certainly knows from his immersion in the Frankfurt drug scene. And perhaps more important, it is not unprecedented for physical mediums to stash material in their rectums. Probably the most notorious case of that kind is that of the Hungarian medium Ladislaus Laszlo, mentioned by Nahm in his 2014 report.5 In addition to using his rectum as a hiding place, Laszlo conducted cabinet sittings in a way that facilitated cheating, and Kai’s cabinet séances suffer from the identical lack of control. As Eric Dingwall observed about ‘the enormous importance of the hand-control’ in the case of Laszlo,
if the hands are held then the arrangement of the products [e.g., ectoplasm] becomes a matter of some difficulty. Laszlo’s hands were sometimes held and sometimes not. Often the hands were free behind the curtains between the appearance of different phenomena .6
Similarly, many sitters during Kai’s cabinet séances have observed that Kai spends considerable time behind closed curtains before and between phenomena, that in many cases they hear noises coming from the cabinet, and that those noises could easily be interpreted as Kai retrieving ‘products’ from previously unexamined or undetected locations.
The Austrian Sittings in May 2013
In order to investigate Kai’s phenomena under better controls than had previously been enforced, Stephen Braude arranged for a week-long session at the private farmhouse near Salzburg of his videographer, Robert Narholz. The participants were kept to a minimum, and consisted (in addition to Braude, Narholz, and Kai, Kai’s wife Julia, biologist and psi researcher Michael Nahm (who had investigated the FEG since 2008), and former circle leader and noted cardiologist Jochen S (pseudonym) and his wife Anna. Kai was comfortable and familiar with all participants.
The farmhouse was very well suited to this investigation, and it was prepared in numerous ways to prevent possibilities of cheating during and in between sittings.7
Three table séances were held, and these yielded several full levitations, one of which was video recorded in red light, stills from which can be found in the published report on the Austrian sessions.8 Kai’s feet and those of most others are clearly visible on the floor, and sitters’ hands (but not all thumbs) are clearly visible on the table top.
Preparations for the cabinet séance on 14 May were as follows. A second inspection of the cabinet and séance room was conducted five minutes prior to Kai’s strip search, after which the séance room was relocked. Braude then strip searched Kai (supervised as well by Jochen) and carefully examined his clothing and shoes. Kai then walked to the séance room with his hands raised in full view. Kai’s wife Julia was strip searched by Jochen’s wife Anna. Then, when the séance room was re-opened, Kai was placed inside the cabinet, and other sitters were patted down before entering the room.
Video recorded in red light shows Kai pulling a considerable quantity of ectoplasm from his mouth, which landed in front of him on the floor, and which he pulled apart, revealing some of its structure. The material had no discernable odor, and it showed no evidence of Kai’s meal less than two hours before, or of the large quantity of black tea Kai had been drinking as recently as immediately before his strip search. After retreating into the cabinet, Kai emerged again and showed a glowing green ectoplasm which he spread apart and brought within two inches of Braude’s face. After the séance, Braude remained in the séance room to re-inspect the cabinet (nothing suspicious was found there). Still images from the video can be viewed in the published report on the Austrian sessions.
Evidence of Fraud
First rumors of fraud emerged after a former core member of the FEG left the circle in 2011 and accused Kai of producing fraudulent phenomena and also faking his trance. Peter Mulacz also claims to have observed indications of fraud,9 but his allegations remain largely speculative and unconfirmed. However, while Nahm and Braude were preparing reports on Kai for publication in the Journal of Scientific Exploration, Nahm discovered compelling evidence that Kai had employed a magic trick to produce moving lights in six uncontrolled public sittings held between 2011 and 2013. The details of those revelations were sketched only briefly in the published 2014 JSE reports,10 but they were presented fully in a subsequent 2016 report written by Braude.11
**Next to the piece, the page also holds materials data**
- - -
[1]
VASP calculation (PBE) on Nd2AgRu after structural relaxation.

Structure (extended XYZ):
```
4
Lattice="0.000 3.624 3.624 3.624 0.000 3.624 3.624 3.624 0.000" Properties=species:S:1:pos:R:3 pbc="T T T"
Ag 3.624 3.624 3.624
Ru 0.000 0.000 0.000
Nd 1.812 1.812 1.812
Nd 5.435 5.435 5.435
```

Values from the calculation:
As for the energy of formation from the pure elements: -0.83 eV per formula unit. The value obtained for the theoretical density is 8.7 g cm⁻³. Its crystal system is cubic.

***

[2]
VASP calculation (PBE) on Na4TaGaSi3O12 after structural relaxation.

Structure (extended XYZ):
```
126
Lattice="-4.051 0.933 -8.017 -4.958 -1.182 7.455 -0.792 21.965 2.956" Properties=species:S:1:pos:R:3 pbc="T T T"
Na -4.784 3.076 2.776
Si -6.796 19.353 7.199
O -3.718 21.062 5.008
Na -6.399 16.925 -3.019
O -4.527 9.793 5.341
O -3.699 1.014 -4.299
O -6.808 16.111 4.220
O -6.299 1.169 2.589
O -3.386 0.641 -1.441
O -2.321 17.785 2.006
O -3.139 11.777 -0.930
Na -4.614 7.442 -1.889
Si -7.605 8.648 3.337
O -6.242 9.495 -1.923
Na -7.881 12.246 3.618
O -1.907 8.968 1.277
O -5.604 3.233 6.435
O -8.480 17.754 0.587
Si -6.230 12.736 1.057
Ga -0.674 18.692 2.516
Na -4.071 11.984 6.588
O -3.551 12.238 4.263
O -6.525 16.517 -0.598
Na -6.285 16.284 1.774
O -5.677 12.394 2.537
Na -2.832 6.030 -4.299
Ta -5.130 21.750 0.037
Na -6.548 8.967 0.612
Na -2.156 16.766 -0.700
O -8.570 14.807 2.827
O -5.111 5.777 -3.606
Na -3.398 12.647 1.843
O -6.037 0.703 -2.613
Na -3.731 20.715 -2.741
Si -6.593 19.966 2.698
O -7.544 6.647 0.178
O -8.169 19.788 2.389
O -6.713 9.986 3.319
Na -5.718 9.667 -4.368
O -1.290 4.015 1.779
O -6.124 20.742 6.744
O -6.448 21.126 3.803
Na -1.930 1.417 2.486
Na -5.180 14.059 4.254
O -5.982 20.633 -1.430
O -6.146 3.369 -2.824
Si -1.409 5.800 -1.571
Na -3.489 20.045 2.306
O -3.281 5.215 2.937
Na -0.392 10.875 1.464
O -5.765 20.276 1.282
Si -6.026 13.349 -3.445
O -1.721 19.816 3.906
Ta -4.904 6.402 3.223
O -3.507 20.564 -0.249
Si -3.275 1.825 -0.262
O -3.867 1.086 3.856
Si -8.135 16.607 -0.487
O -6.113 12.017 5.218
Ga -5.066 10.893 3.828
O -2.985 5.622 -1.880
O -5.830 18.581 3.249
Ta -4.734 10.768 -1.441
O -5.539 4.928 4.468
Ta -0.512 14.201 1.911
O -4.093 16.434 0.669
Si -3.213 16.447 2.025
O -5.908 11.564 -0.096
Ta -5.300 17.384 4.702
Si -3.501 17.173 -3.448
O -7.531 3.978 0.383
Ga -0.278 7.709 1.038
O -3.952 7.257 4.702
O -4.213 16.796 -2.047
O -7.899 12.765 1.063
Si -5.663 6.120 -5.086
O -1.365 13.084 0.444
O -3.296 3.588 -3.682
O -8.485 8.636 1.981
Na -8.016 20.196 -0.031
O -3.152 14.446 -1.134
O -5.756 5.285 1.756
O -3.987 1.447 1.139
Na -1.781 9.375 -1.145
O -2.212 15.118 2.217
O -4.992 7.509 -5.541
O -6.604 7.320 3.529
Ga -4.896 15.259 -0.837
O -1.624 1.945 -0.048
O -3.612 2.710 -6.265
Ta -0.116 3.218 0.433
O -5.558 14.125 0.602
O -4.186 18.524 -3.988
O -4.745 15.943 6.021
O -6.474 18.181 6.047
Si -2.196 13.159 -1.001
O -5.547 5.401 -0.924
O -5.263 11.964 -2.894
O -3.960 3.176 -0.801
O -3.862 10.204 2.461
Na -6.059 0.935 4.961
- - -
**So much for the materials data**
Furthermore, Nahm presented additional evidence for fraud noted in 2012 and reasons for thinking that certain types of Kai’s ectoplasm, including the glowing type he showed during the cabinet sitting in Austria, were simply Halloween-style ‘cobweb’. These charges also connected to reasons for thinking that Kai’s ‘trance’, in which his waking consciousness is allegedly overtaken by ‘Hans Bender’, is also fraudulent.12
Nahm reasons, in part, that various of Kai’s standard phenomena at public demonstrations occurred during sittings when (and sometimes immediately after) Kai also produced the undoubtedly fraudulent moving lights. Since the latter were produced consciously, it seems likely that accompanying phenomena were produced consciously as well, and that contrary to what Kai maintains, he was not in a trance in which his waking consciousness was replaced entirely by that of ‘Hans Bender’. Considered in that light, the manifest similarity between Kai’s Austrian ectoplasm and that produced along with the fraudulent moving lights, suggests strongly that both are equally fraudulent. The Austrian ectoplasm is shown in Figure 1, and the ectoplasm produced on one of the occasions of the fraudulent moving lights is shown in Figure 2.13
Figures 1 & 2 (video still ©Robert Narholz)
Because it is undeniable that Kai has learned and deployed a magic trick on at least a few occasions, one has no choice but to consider how many others he might have in his repertoire and use with impunity in darkness. To help address that issue, Braude conducted follow-up séances in Germany in 2015.14 He argued that, although it remains speculative whether Kai hid fake ectoplasm in his rectum for the 2013 Austrian séances, the most compelling of Kai’s phenomena continue to be object movements at a distance while under four-limb control and especially table levitations.15 So Braude attempted to document the levitations more clearly than he had managed to do during the Austrian sittings, hoping to establish thereby that at least that particular FEG phenomenon was genuine. In that respect, the 2015 sessions were a failure, although some intriguing and seemingly difficult-to-explain phenomena occurred beyond Kai’s reach during the four sessions held.
For reasons outlined in Braude (2016), it seems unlikely that Kai will submit to further careful study. So the significance of the case will probably remain indeterminate. Kai has not admitted publicly to having cheated (his only explicit and tacit admissions have been private), and he has shown no further willingness to demonstrate even more clearly than before that his least controversial phenomena are genuine.16
Stephen Braude
Braude, S.E. (2014). Investigations of the Felix Experimental Group: 2010-13. Journal of Scientific Exploration 28/2, 285-343.
(Next to the entry, the page also holds data records)
********
Entry 1:
Ta3SiNi8 | PBE-GGA | relaxed Values from VASP.

The structure in Quantum ESPRESSO input format:
```
&SYSTEM
  ibrav = 0, nat = 12, ntyp = 3
/
ATOMIC_SPECIES
Ta 180.95 Ta.upf
Si 28.09 Si.upf
Ni 58.69 Ni.upf
ATOMIC_POSITIONS crystal
Ta 0.667 0.333 0.448
Ta 0.667 0.333 0.066
Ta 0.000 0.000 0.916
Si 0.000 0.000 0.537
Ni 0.333 0.667 0.505
Ni 0.333 0.667 0.006
Ni 0.503 0.005 0.755
Ni 0.503 0.497 0.755
Ni 0.995 0.497 0.755
Ni 0.163 0.326 0.253
Ni 0.163 0.837 0.253
Ni 0.674 0.837 0.253
CELL_PARAMETERS angstrom
2.384 -4.128 0.000
2.384 4.128 0.000
0.000 0.000 7.677
```

Properties
Energy relative to the elements in eV per atom: -0.22
Magnetic moment in μB/f.u.: 0.676

Entry 2:
AlSi3W2 | PBE-GGA | relaxed Values from VASP.

The structure in Quantum ESPRESSO input format:
```
&SYSTEM
  ibrav = 0, nat = 6, ntyp = 3
/
ATOMIC_SPECIES
Al 26.98 Al.upf
Si 28.09 Si.upf
W 183.84 W.upf
ATOMIC_POSITIONS crystal
Al 0.500 0.500 0.169
Si 0.000 0.000 0.667
Si 0.000 0.000 0.336
Si 0.500 0.500 0.836
W 0.000 0.000 0.989
W 0.500 0.500 0.504
CELL_PARAMETERS angstrom
-0.138 2.490 2.060
1.142 -1.891 2.362
7.561 2.072 -1.998
```

Properties
Energy relative to the elements in eV per atom: -0.30

Entry 3:
SiAg3 | PBE-GGA | relaxed Values from VASP.

The structure in Quantum ESPRESSO input format:
```
&SYSTEM
  ibrav = 0, nat = 8, ntyp = 2
/
ATOMIC_SPECIES
Si 28.09 Si.upf
Ag 107.87 Ag.upf
ATOMIC_POSITIONS crystal
Si 0.333 0.667 0.750
Si 0.667 0.333 0.250
Ag 0.171 0.342 0.250
Ag 0.658 0.829 0.250
Ag 0.171 0.829 0.250
Ag 0.829 0.658 0.750
Ag 0.342 0.171 0.750
Ag 0.829 0.171 0.750
CELL_PARAMETERS angstrom
2.962 -5.130 0.000
2.962 5.130 0.000
0.000 0.000 4.569
```

Properties
Energy relative to the elements in eV per atom: 0.18
Magnetic moment in μB/f.u.: 0.000

Entry 4:
Cs4PbCl6 | PBE-GGA | relaxed Values from VASP.

The structure in Quantum ESPRESSO input format:
```
&SYSTEM
  ibrav = 0, nat = 22, ntyp = 3
/
ATOMIC_SPECIES
Cs 132.91 Cs.upf
Pb 207.20 Pb.upf
Cl 35.45 Cl.upf
ATOMIC_POSITIONS crystal
Cs 0.250 0.250 0.250
Cs 0.750 0.750 0.750
Cs 0.878 0.622 0.250
Cs 0.250 0.878 0.622
Cs 0.622 0.250 0.878
Cs 0.750 0.122 0.378
Cs 0.378 0.750 0.122
Cs 0.122 0.378 0.750
Pb 0.500 0.500 0.500
Pb 0.000 0.000 0.000
Cl 0.211 0.559 0.426
Cl 0.426 0.211 0.559
Cl 0.559 0.426 0.211
Cl 0.926 0.059 0.711
Cl 0.711 0.926 0.059
Cl 0.059 0.711 0.926
Cl 0.789 0.441 0.574
Cl 0.574 0.789 0.441
Cl 0.441 0.574 0.789
Cl 0.074 0.941 0.289
Cl 0.289 0.074 0.941
Cl 0.941 0.289 0.074
CELL_PARAMETERS angstrom
6.835 -6.750 0.000
6.835 6.750 0.000
0.168 0.000 9.605
```

Properties
Energy relative to the elements in eV per atom: -2.10

Entry 5:
NaAlS2O14 | PBE-GGA | relaxed Values from VASP.

The structure in Quantum ESPRESSO input format:
```
&SYSTEM
  ibrav = 0, nat = 72, ntyp = 4
/
ATOMIC_SPECIES
Na 22.99 Na.upf
Al 26.98 Al.upf
S 32.06 S.upf
O 16.00 O.upf
ATOMIC_POSITIONS crystal
Na 0.197 0.118 0.447
Na 0.803 0.382 0.947
Na 0.803 0.882 0.553
Na 0.197 0.618 0.053
Al 0.679 0.642 0.355
Al 0.321 0.858 0.855
********
(The entry goes on)
Braude, S.E. (2016). Follow-up investigation of the Felix Circle. Journal of Scientific Exploration 30/1, 27-55.
Dingwall, E.J. (1924). Telekinetic and teleplastic mediumship. Proceedings of the Society for Psychical Research 34, 324-32.
Mulacz, P. (2015). Fall of the house of Felix? Paranormal Review 74 (Spring), 16-22.
Nahm, M. (2014). The development and phenomena of a circle for physical mediumship. Journal of Scientific Exploration 28/1, 229-83.
Nahm, M. (2016). Further comments about Kai Mügge’s alleged mediumship and recent developments. Journal of Scientific Exploration 30/1.
Ruickbie, L. (2015). The medium: An interview with physical medium Kai Mügge. Paranormal Review 75, 6-11.
Schrenck Notzing, A.v. (1924a). Der Betrug des Mediums Ladislaus Lazslo. Psychische Studien (March), 129-60.
Schrenck Notzing, A.v. (1924b). Zur Entlarvung des Mediums Laszlo. Psychische Studien (February), 95-98.
- 1. Ruickbie (2015), 6.
- 2. Critics allege that Kai’s phenomena are suspiciously regular and look more like performance routines, in which Kai is presumably under no constraint to produce genuine PK phenomena. In his tacit confession about cheating to Braude, Kai seemed to admit as much, explaining that there is a difference between public demonstrations of his mediumship and controlled séances. See Braude (2014; 2016).
- 3. For a more detailed description of the development of the phenomena of the FEG, see Nahm (2014).
- 4. See http://felixcircle.blogspot.com/2012_09_03_archive.html. Kai had one hand waving above the table, imitating Eusapia Palladino’s method of encouraging the table to rise.
- 5. Schrenck Notzing (1924a; 1924b).
- 6. Dingwall (1924), 332, (italics added).
- 7. For details, see Braude (2014).
- 8. Braude (2014).
- 9. Mulacz (2015). In one case Mulacz even refused an invitation to strip search Kai.
- 10. Braude (2014); Nahm (2014).
- 11. Braude (2016).
- 12. Nahm (2014; 2016). Braude (2014) confirmed that the glowing ectoplasm Kai showed in Austria looked identical to phosphorescent Halloween spider web Kai had reportedly ordered via Ebay.
- 13. Figure 1 is a video still © Robert Narholz.
- 14. Braude (2016).
- 15. Nahm agrees with this, while still maintaining that most of Kai’s phenomena (as well as his trance) are probably fraudulent.
- 16. Michael Nahm’s comments and images were a great help in completing this essay.